• Excerpt:
........
[1]
166
Properties=species:S:1:pos:R:3 method="wB97M-V/def2-TZVPD" total_charge=+6 total_energy_ev=-105059.01415 orbital_gap_ha=0.031 e_above_lowest_ev=15.859
C 7.94805 3.81707 6.15003
C 8.54586 3.25709 7.40561
C 8.30193 1.80242 7.71576
O 9.24721 1.44881 8.73225
C 9.16045 0.14566 9.35102
N 10.08305 3.47773 7.46596
H 10.52401 3.02209 6.68337
H 10.32902 4.44405 7.57577
H 10.38406 2.89412 8.30128
H 8.55766 3.60528 5.30977
H 7.87601 4.93500 6.20091
H 6.92626 3.44272 6.03854
H 8.20998 3.81135 8.32857
H 8.37663 1.11143 6.89412
H 7.31452 1.62256 8.11689
H 8.12881 -0.16679 9.58399
H 9.66064 0.26130 10.30272
H 9.50567 -0.59383 8.64826
C -0.77884 2.70022 10.93259
C -1.01893 1.68865 9.83314
C -7.22763 3.84571 8.50395
O -8.24522 2.90745 8.88792
C -8.74431 2.56253 7.47936
N -0.63032 1.99270 8.66559
H -5.64539 2.23592 1.49122
H -0.58122 1.21399 7.99027
H -0.19371 2.87411 8.54635
H -0.35127 3.57569 10.44077
H -0.05157 2.20034 11.56729
H -1.72718 3.07199 11.39927
H -1.33139 0.61179 9.71777
H -7.02424 3.98993 7.38098
H -6.59770 3.75714 9.37412
H -9.64114 1.91641 7.53675
H -7.87746 2.05775 7.23112
H -9.08941 3.45484 6.92582
C -9.89824 2.21697 -4.92789
C -10.28981 0.74230 -5.02457
C -10.07861 -0.19284 -3.79896
O -10.06454 -1.46941 -4.37777
C -10.75090 -2.53001 -3.61715
N -11.75755 0.66389 -5.50517
H -11.92210 1.12804 -6.36495
H -11.93766 -0.32451 -5.72203
H -12.44708 1.04493 -4.80186
H -8.87339 2.42010 -5.19803
H -10.04581 2.57074 -3.89511
H -10.43165 2.84160 -5.68658
H -9.74185 0.27426 -5.82962
H -10.75250 -0.02365 -2.98196
H -9.11143 0.05180 -3.37584
H -10.06179 -2.84110 -2.85149
H -11.01752 -3.33630 -4.21783
H -11.65884 -2.12117 -3.16107
C -4.87104 -12.66310 5.50336
C -6.25009 -13.02427 5.84479
C -6.68800 -12.93084 7.34303
O -8.09044 -12.81341 7.38348
C -8.71229 -13.23034 8.57776
N -7.21426 -12.11647 5.04542
H -8.17150 -12.37241 5.40367
H -6.99256 -11.13496 5.27308
H -7.07672 -12.28368 4.08173
H -4.10455 -12.94611 6.18892
H -4.89951 -11.56741 5.40633
H -4.60637 -12.97237 4.42515
H -6.58641 -14.01903 5.53752
H -6.19696 -12.07436 7.82490
H -6.34866 -13.89064 7.83416
H -8.32043 -12.80593 9.55165
H -8.84278 -14.25995 8.69001
H -9.78454 -12.92326 8.55175
C -1.30262 -8.21307 -5.02896
C -0.79980 -9.62618 -5.26624
C 0.29776 -9.72627 -6.35724
O 1.05488 -10.86872 -6.03723
C 2.07015 -11.02797 -7.08441
N -0.25764 -10.28518 -3.98754
H 0.34336 -9.49511 -3.59302
H -0.93370 -10.70385 -3.30842
H 0.41662 -10.97582 -4.37057
H -1.78940 -7.84712 -5.90513
H -0.40553 -7.64808 -4.77687
H -1.93343 -8.21034 -4.16008
H -1.60026 -10.23625 -5.64582
H 0.88478 -8.84929 -6.31542
H -0.13482 -9.77565 -7.37744
H 2.54028 -10.11072 -7.38415
H 1.51516 -11.47232 -7.97407
H 2.80055 -11.71149 -6.82609
C 10.37998 10.55916 -6.23101
C 10.52653 10.80572 -4.72512
C 11.05972 9.58578 -3.94731
O 11.31822 10.05249 -2.59679
C 11.53538 8.93916 -1.74074
N 11.42649 11.89026 -4.30617
H 11.47298 11.90331 -3.27207
H 12.40059 11.67060 -4.49184
H 11.13926 12.77112 -4.68088
H 9.55364 9.88643 -6.46682
H 11.29047 10.19690 -6.60580
H 10.22811 11.52993 -6.73851
H 9.58996 11.09891 -4.31673
H 12.00706 9.25579 -4.27906
H 10.36907 8.72848 -3.94420
H 12.09884 8.22432 -2.31646
H 10.60421 8.44248 -1.43635
H 11.95097 9.30140 -0.84162
C 4.14199 -0.24614 -4.18062
C 3.38573 0.52541 -5.23303
C 4.12229 0.64075 -6.55016
O 4.43276 -0.62688 -6.94141
C 5.44937 -0.73576 -8.00215
N 1.98437 -0.12791 -5.69161
H 1.59281 -0.98347 -5.19171
H 1.30244 0.55042 -5.50154
H 1.97575 -0.38785 -6.70978
H 4.31744 -1.26487 -4.49369
H 3.65978 -0.19715 -3.21547
H 5.09188 0.24453 -4.03629
H 3.08298 1.44476 -4.90210
H 4.97934 1.24989 -6.29974
H 3.59018 1.20085 -7.25283
H 6.47188 -0.78515 -7.52790
H 5.51886 0.12594 -8.62526
H 5.40019 -1.67554 -8.45949
C 1.47856 8.46648 -1.78954
C 1.27983 7.23820 -0.95283
C -0.12652 6.68929 -1.15685
O -0.24995 5.41182 -0.67403
C -1.52853 4.94254 -0.72717
N 2.19367 6.06776 -1.37437
H 1.72577 5.57394 -2.12000
H 3.19964 6.18146 -1.60745
H 2.13683 5.43359 -0.58423
H 2.40445 8.98153 -1.51863
........

• Request:
Please echo the lines above from the one with "059.01415 orbital_gap_ha=0.031" to the one with "5.50336" unchanged.

• Worked solution:
Properties=species:S:1:pos:R:3 method="wB97M-V/def2-TZVPD" total_charge=+6 total_energy_ev=-105059.01415 orbital_gap_ha=0.031 e_above_lowest_ev=15.859
C 7.94805 3.81707 6.15003
C 8.54586 3.25709 7.40561
C 8.30193 1.80242 7.71576
O 9.24721 1.44881 8.73225
C 9.16045 0.14566 9.35102
N 10.08305 3.47773 7.46596
H 10.52401 3.02209 6.68337
H 10.32902 4.44405 7.57577
H 10.38406 2.89412 8.30128
H 8.55766 3.60528 5.30977
H 7.87601 4.93500 6.20091
H 6.92626 3.44272 6.03854
H 8.20998 3.81135 8.32857
H 8.37663 1.11143 6.89412
H 7.31452 1.62256 8.11689
H 8.12881 -0.16679 9.58399
H 9.66064 0.26130 10.30272
H 9.50567 -0.59383 8.64826
C -0.77884 2.70022 10.93259
C -1.01893 1.68865 9.83314
C -7.22763 3.84571 8.50395
O -8.24522 2.90745 8.88792
C -8.74431 2.56253 7.47936
N -0.63032 1.99270 8.66559
H -5.64539 2.23592 1.49122
H -0.58122 1.21399 7.99027
H -0.19371 2.87411 8.54635
H -0.35127 3.57569 10.44077
H -0.05157 2.20034 11.56729
H -1.72718 3.07199 11.39927
H -1.33139 0.61179 9.71777
H -7.02424 3.98993 7.38098
H -6.59770 3.75714 9.37412
H -9.64114 1.91641 7.53675
H -7.87746 2.05775 7.23112
H -9.08941 3.45484 6.92582
C -9.89824 2.21697 -4.92789
C -10.28981 0.74230 -5.02457
C -10.07861 -0.19284 -3.79896
O -10.06454 -1.46941 -4.37777
C -10.75090 -2.53001 -3.61715
N -11.75755 0.66389 -5.50517
H -11.92210 1.12804 -6.36495
H -11.93766 -0.32451 -5.72203
H -12.44708 1.04493 -4.80186
H -8.87339 2.42010 -5.19803
H -10.04581 2.57074 -3.89511
H -10.43165 2.84160 -5.68658
H -9.74185 0.27426 -5.82962
H -10.75250 -0.02365 -2.98196
H -9.11143 0.05180 -3.37584
H -10.06179 -2.84110 -2.85149
H -11.01752 -3.33630 -4.21783
H -11.65884 -2.12117 -3.16107
C -4.87104 -12.66310 5.50336